Natural Law, Eighteenth-Century Understanding

2012-08-08 22:00:32

The concept of natural law describes universal laws that exist independent of human-created laws. It is a highly contested idea both in philosophy and legal theory. Natural law as it influenced early American thinking on civil liberties was largely the product of the European Enlightenment as it was received and reinterpreted by the founders.

== Between two parts of the article: data records ==
(1)
C27H23Br9N4O8 | ωB97M-V with the def2-TZVPD basis set

Summary:
HOMO level (eV): -9.690
Total energy (Eh): -25029.28797
E_LUMO (eV): -0.675

Atoms and positions in Å:
C1 22.720 15.302 13.412
C2 23.769 15.832 12.698
C3 23.949 15.413 11.406
C4 23.078 14.543 10.833
C5 21.966 14.021 11.470
C6 21.815 14.414 12.830
N1 23.376 14.054 9.426
O1 24.324 14.467 8.823
O2 22.621 13.221 9.011
H1 22.727 15.555 14.457
H2 24.502 16.489 13.207
H3 24.799 15.790 10.863
H4 21.336 13.370 10.976
H5 21.004 13.946 13.438
C7 9.814 12.253 16.236
C8 10.623 11.844 15.177
C9 11.840 11.202 15.436
C10 12.207 11.032 16.794
C11 11.462 11.506 17.854
C12 10.233 12.109 17.585
N2 13.445 10.255 16.990
O3 13.895 10.368 18.142
O4 13.921 9.633 16.084
H6 8.916 12.748 16.070
H7 10.223 11.934 14.183
H8 12.449 10.794 14.632
H9 11.724 11.328 18.890
H10 9.671 12.611 18.378
C13 20.538 17.672 16.292
C14 19.850 16.760 17.104
C15 18.813 16.004 16.577
C16 18.477 16.199 15.197
C17 19.175 17.037 14.379
C18 20.241 17.738 14.949
N3 17.318 15.416 14.581
O5 17.109 15.507 13.374
O6 16.574 14.754 15.310
H11 21.273 18.425 16.677
H12 20.079 16.581 18.163
H13 18.340 15.191 17.080
H14 19.004 17.017 13.320
H15 20.892 18.342 14.266
C19 17.459 8.396 15.251
C20 17.423 9.095 16.440
C21 17.814 10.465 16.379
C22 18.267 10.987 15.164
C23 18.222 10.318 13.980
C24 17.928 8.966 14.052
N4 18.623 12.422 15.084
O7 18.933 13.025 16.078
O8 18.560 12.972 14.042
H16 17.077 7.376 15.282
H17 17.086 8.702 17.371
H18 17.655 11.016 17.256
H19 18.515 10.661 12.992
H20 18.027 8.387 13.203
C25 14.065 9.552 11.283
Br1 12.301 10.296 11.328
Br2 15.250 10.862 12.234
Br3 14.609 9.074 9.415
H21 14.102 8.635 11.853
C26 15.818 14.715 19.627
Br4 15.663 16.420 18.651
Br5 17.696 14.183 19.961
Br6 14.829 13.315 18.773
H22 15.369 14.771 20.549
C27 21.725 9.234 14.950
Br7 22.115 10.542 13.565
Br8 22.611 9.549 16.693
Br9 22.187 7.506 14.275
H23 20.668 9.276 15.079

***

(2)
C6H8OS | ωB97M-V with the def2-TZVPD basis set

Summary:
HOMO level (eV): -8.819
Total energy (Eh): -706.77704
E_LUMO (eV): -0.095
SMILES: C=CC(=S)O/C=C/C

Atoms and positions in Å:
C1 -1.706 1.351 2.330
C2 -0.698 1.014 1.353
C3 -0.731 -0.029 0.516
C4 0.294 -1.313 -1.100
C5 1.492 -1.322 -2.030
C6 2.308 -0.282 -2.142
H1 -2.123 2.368 2.283
H2 -2.547 0.664 2.224
H3 -1.290 1.303 3.352
H4 0.184 1.640 1.226
H5 -1.566 -0.764 0.642
H6 1.473 -2.094 -2.822
H7 2.142 0.620 -1.539
H8 3.167 -0.334 -2.821
O1 0.300 -0.235 -0.385
S1 -0.698 -2.588 -1.088

***

(3)
BaF30P5 | ωB97M-V with the def2-TZVPD basis set

Summary:
HOMO level (eV): -4.999
Charge: -3
Total energy (Eh): -4729.63468
E_LUMO (eV): 6.440

Atoms and positions in Å:
Ba1 6.779 2.345 -10.306
P1 5.165 -0.270 -8.271
F1 5.501 -0.982 -6.845
F2 3.625 -0.769 -8.317
F3 4.855 1.033 -7.369
F4 4.957 0.439 -9.728
F5 6.699 0.380 -8.394
F6 5.600 -1.651 -8.935
P2 3.727 3.831 -11.198
F7 3.666 5.058 -12.266
F8 2.251 4.253 -10.689
F9 3.142 2.818 -12.235
F10 3.917 2.737 -10.046
F11 5.257 3.483 -11.858
F12 4.328 4.858 -10.088
P3 5.502 -0.317 -13.552
== End of the data records ==

The study of natural law had been dominated by Catholic scholasticism for centuries. Expressed in the thinking of theologians such as Thomas Aquinas, natural law was analyzed in terms of God-given laws, and what that meant for human institutions. The Enlightenment forced the study of natural law towards secular rationality and individualism, with a new attention to political rights, and no Enlightenment philosopher influenced the American colonists more than John Locke.

Locke created a wealth of new natural rights ideas, imagining a ‘‘state of nature’’ that predated government, and describing the natural rights that arose therein. Locke’s theories also envisioned government as a social compact requiring the ‘‘consent of the governed.’’ Locke’s theory of the ‘‘consent of the governed’’ strongly influenced the intellectual forbears of the nascent republic, who oftentimes deployed Lockean natural rights rhetoric when arguing for the dissolution of ties with Britain. The Declaration of Independence provides a good example of this kind of reasoning, such as where it expresses that the British have deprived the colonists of ‘‘the separate and equal station to which the Laws of Nature and of Nature’s God entitle them.’’

Natural Law and the Constitution

There is debate, however, among historians of the early American republic about the extent to which natural law influenced the drafters of the Constitution. As mentioned above, the Declaration of Independence certainly included natural law language, but the Constitution eschewed such rhetoric for much more formal legalistic terms, and natural law is not mentioned in any significance in the ratifying debates. One explanation, proffered by John Hart Ely, is that the functions of the documents were fundamentally different. The Declaration was an announcement of grievances, and an argument that those grievances could only be redressed by resort to revolution. By contrast, the Constitution, drafted after long debate and deliberation, was meant to be the written fundamental law of the new nation. We might conclude that while many of the framers of the early republic valued natural law individually, they thought that humanwritten laws were the only sources of state-enforced obligations.

One important concept for civil liberties that permeates natural law theory is the idea that positive, human-written laws do not exhaust the limits of individual rights against government. This means that there are universal, individual rights that cannot be violated by government. This insight is important to understanding the continuing vitality of natural law theories for protecting civil liberties in the modern United States. Some of these modern theories suppose that if there are preexisting natural rights, then these natural rights form an ‘‘unwritten constitution’’ that underlies the written constitution, but has as much or more force as the document itself.

There is a conflict between this view and the view that whatever natural rights there are, they are adequately protected by a written constitution. This struggle is evident in the debate over the inclusion or exclusion of a bill of rights. Those who would have excluded the Bill of Rights were not foes of individual liberties, but in fact thought those liberties would be best protected without a bill of rights. Alexander Hamilton, in The Federalist 84, gave expression to this very idea when he spoke of the danger of attempting to list all individual rights against government— an effort he thought impossible. Ultimately, those in favor of listing individual rights against government prevailed, and natural law was not significantly invoked by the judiciary in its interpretations of the Bill of Rights.

Natural Rights

However, this debate was not fully resolved by the framers of the Constitution, as evinced by the existence of the Ninth Amendment. That amendment states simply, ‘‘The enumeration in the Constitution, of certain rights, shall not be construed to deny or disparage others retained by the people.’’ If we think that the fundamental law of the land is stated by the Constitution, then where would these rights ‘‘retained by the people’’ come from? Furthermore, should the vague provisions of the Fourteenth Amendment give rise to broad judicial protection of rights not listed in the Constitution? To some scholars, natural law answers these questions in the affirmative.

Such a theory has been embraced by some modern constitutional scholars, but in the framing period, appeals to natural law found only rare and fleeting traction in the U.S. Supreme Court, and the Ninth Amendment itself has been very rarely invoked. The 1798 case of Calder v. Bull (1798) is famous for juxtaposing the views of Justices Chase and Iredell, who come to opposite conclusions regarding the merits of using natural law as a source of constitutional law, with Chase in favor and Iredell opposed. That Justice Iredell prevailed in that case is testament to the strong tradition of legal positivism on the Supreme Court, which is marked by the belief that only the written Constitution is enforceable.

This view was dominant until the twentieth century (with a few exceptions), when a quasi-natural law conception of the Constitution was revived, principally by late twentieth-century legal academics. The only justification for enforcing the ‘‘unenumerated rights’’ created by the Warren and Burger Courts seemed to be a revival of natural law. Whether this is a valid source of constitutional law continues to be a lively and intense debate both within and outside of the legal academy. Fundamentally, however, this debate is the culmination of long-unsettled questions about whether the fundamental law of the United States is exhausted by the text of the Constitution, or whether the text and history of its drafting invite judges to protect rights not written in the Constitution, and guaranteed by natural law.


References and Further Reading

  • Bailyn, Bernard. The Ideological Origins of the American Revolution. Cambridge, MA: Harvard University Press, 1967.
  • Ely, John Hart. Democracy and Distrust: A Theory of Judicial Review. Cambridge, MA: Harvard University Press, 1980.
  • Rossiter, C., ed. The Federalist Papers. New York: Penguin Putnam, 1961.
  • Wood, Gordon S. The Creation of the American Republic 1776–1787. Chapel Hill: University of North Carolina Press, 1969.

Cases and Statutes Cited

See also Calder v. Bull, 3 U.S. 386 (1798); Constitution of 1787; Declaration of Independence; Locke, John; Ninth Amendment; Roe v. Wade, 410 U.S. 113 (1973); Substantive Due Process; Warren Court